Hammer Time: Count Dracula Edition, Pt. 1—The First Three Films

Well over a decade ago, I had the idea to blog my way through viewing a bunch of movies from Hammer Films, starting with their Dracula series featuring Christopher Lee and Peter Cushing. After I finished those, I moved on to their Frankenstein series, also starring Cushing (Lee only appeared in the first one). By the time I started the Frankenstein movies (which I’ve yet to finish, I’m sorry to say), I’d moved my blog here to Word Press from Live Journal. I only recently realized that I never migrated the Dracula posts to Word Press, though they were among the posts I downloaded before deleting Live Journal. So now, though I really need to get back to those Frankenstein movies, I think it’s time to resurrect (see what I did there) Dracula. Unfortunately, back in the day I didn’t have the idea to blog about the films until I’d already watched the first three, so my comments were rather cursory. I briefly considered rewatching those movies and giving each of them their own post, or even just expanding my comments from memory, but then I got realistic about my schedule—I’m behind on so many personal projects that devoting time to these repostings beyond this new intro (and the occasional tweaks and updates) didn’t make sense. Without further ado, then, here is the first post (from way back on August 9, 2010):

(1)
Diffraction record for LiCu2P3H2O10. The X-ray powder pattern is simulated, not measured: it uses a structure optimized by DFT (GGA-PBE) and Cu Kα X-rays.
Lines closer than 0.1° are merged.

Main lines, low angle first (10 to 90 degrees two-theta):
two_theta  d/Å  I_rel
12.4  7.119  52
12.8  6.914  26
14.7  6.040  99
21.3  4.162  100
23.5  3.778  26
24.7  3.608  28
26.1  3.417  27
28.4  3.143  48
29.1  3.065  21
42.2  2.144  23

a = 7.7511 Å, b = 7.8564 Å, c = 8.9745 Å
α = 68.52°, β = 76.21°, γ = 67.61°
Fractional coordinates of all 36 atoms:
1 Li 0.1817 0.3939 0.1707
2 Li 0.8183 0.6061 0.8293
3 Cu 0.0213 0.1454 0.0255
4 Cu 0.1588 0.0542 0.4569
5 Cu 0.8412 0.9458 0.5431
6 Cu 0.9787 0.8546 0.9745
7 P 0.2103 0.6493 0.5698
8 P 0.2356 0.7521 0.2104
9 P 0.3589 0.2847 0.8405
10 P 0.6411 0.7153 0.1595
11 P 0.7644 0.2479 0.7896
12 P 0.7897 0.3507 0.4302
13 H 0.4797 0.0863 0.2462
14 H 0.4800 0.2125 0.3484
15 H 0.5200 0.7875 0.6516
16 H 0.5203 0.9137 0.7538
17 O 0.0041 0.6858 0.6358
18 O 0.1379 0.6729 0.1362
19 O 0.1546 0.9629 0.2026
20 O 0.2083 0.3645 0.9600
21 O 0.2420 0.6198 0.3953
22 O 0.3014 0.7924 0.5640
23 O 0.3298 0.4364 0.6589
24 O 0.3918 0.0905 0.8299
25 O 0.3971 0.1921 0.2938
26 O 0.4498 0.6913 0.1355
27 O 0.5502 0.3087 0.8645
28 O 0.6029 0.8079 0.7062
29 O 0.6082 0.9095 0.1701
30 O 0.6702 0.5636 0.3411
31 O 0.6986 0.2076 0.4360
32 O 0.7580 0.3802 0.6047
33 O 0.7917 0.6355 0.0400
34 O 0.8454 0.0371 0.7974
35 O 0.8621 0.3271 0.8638
36 O 0.9959 0.3142 0.3642

(2)
Diffraction record for LiCuH3Pd2. The X-ray powder pattern is simulated, not measured: it uses a structure optimized by DFT (GGA-PBE) and Cu Kα X-rays.
Lines closer than 0.1° are merged.

Main lines, low angle first (10 to 90 degrees two-theta):
two_theta  d/Å  I_rel
16.1  5.515  78
33.1  2.707  54
36.9  2.438  35
38.6  2.330  51
39.8  2.264  100
42.8  2.112  42
44.3  2.046  51
58.9  1.567  22
65.7  1.421  23
69.1  1.359  25

a = 6.3453 Å, b = 6.3453 Å, c = 6.3453 Å
α = 50.72°, β = 50.72°, γ = 50.72°
Fractional coordinates of all 14 atoms:
1 Li 0.2115 0.2115 0.2115
2 Li 0.7885 0.7885 0.7885
3 Cu 0.0698 0.0698 0.0698
4 Cu 0.9302 0.9302 0.9302
5 H 0.2675 0.2675 0.7046
6 H 0.2675 0.7046 0.2675
7 H 0.2954 0.7325 0.7325
8 H 0.7046 0.2675 0.2675
9 H 0.7325 0.2954 0.7325
10 H 0.7325 0.7325 0.2954
11 Pd 0.0000 0.5000 0.5000
12 Pd 0.5000 0.0000 0.5000
13 Pd 0.5000 0.5000 0.0000
14 Pd 0.5000 0.5000 0.5000

~~~~~

Simulated powder XRD pattern of Ti2NiB2 for Cu Kα, from a PBE-relaxed structure.
No peak broadening, texture or thermal motion is included.

Structure:
Unit cell a=5.5891 b=5.5891 c=3.2678 alpha=90.00 beta=90.00 gamma=148.69
Sites, in units of the cell vectors:
Ti: 0.1375 0.8625 0.0000
Ti: 0.8625 0.1375 0.0000
Ni: 0.5000 0.5000 0.5000
B: 0.2939 0.7061 0.5000
B: 0.7061 0.2939 0.5000

The 10 most intense peaks (10 to 90 degrees two-theta), sorted by position:
two_theta, d (Å), I_rel
16.47, 5.382, 17
32.04, 2.793, 27
39.01, 2.309, 64
41.60, 2.171, 100
43.57, 2.077, 66
52.20, 1.752, 19

I’ve started working my way through the classic Hammer Films Dracula movies starring Christopher Lee as Dracula and Peter Cushing as Van Helsing. I’ve seen most of them before, here and there, but now, as the proud owner of them all on DVD, I’m watching them in chronological order. 

There are nine films that can be considered part of this continuity, although some are only loosely connected; they all feature either Lee or Cushing or both of them (as indicated) and are listed here in order of their internal chronology, not real-world production:

91n1Dv2dcNL._SL1500_Dracula, aka Horror of Dracula (L & C)
Brides of Dracula (C)
Dracula: Prince of Darkness (L)
Dracula Has Risen from the Grave (L)
Taste the Blood of Dracula (L)
Scars of Dracula (L)
The Legend of the 7 Golden Vampires (C)
Dracula A.D. 1972 (L & C)
The Satanic Rites of Dracula (L & C)

I’ve watched the first three so far. It all starts with Dracula, a very liberal adaption of Bram Stoker’s original novel. Some of the character names are the same, but their roles and fates differ from the book. The differences keep the plot moving and readers of Stoker guessing. I love the brilliant 1958 color, and Cushing and Lee attack their roles—and each other—with gusto and seriousness. Although tame by today’s standards, Hammer pushed the boundaries for bloodletting, especially Technicolor red blood instead of dark black & white blood. Of course, Van Helsing wins in the end, and Dracula is rendered to dust by sunlight.

51d5zDzKeSLNext up is the named-by-the-marketing-department Brides of Dracula, released in 1960. Not only is Dracula not in this movie, still being dead from the first, but the female vampires were not even bitten by Dracula. Baron Meinster is the vampire of this film, and Van Helsing is called in to stamp out a growing pocket of the undead. Although the “brides” are underutilized, it’s an enjoyable film, with hints of Hammer’s growing use of sexuality. It also has some truly creepy and sad scenes with Meinster’s mother and his nanny, each in their own way deeply affected by his vampirism.

dracula_-_prince_of_darknessFinally, in 1966, we have the return of Christopher Lee in Dracula: Prince of Darkness. Some odd choices made it less of a triumphant return than it might have been; first off, it’s just over forty-five minutes into the film before Dracula is resurrected. The scene itself is great. It turns out Klove, Dracula’s faithful servant, had gathered up the ashes of his master after the events of the first film, to which he now adds the blood of an unfortunate guest of the castle. After a creepy effects sequence reconstitutes his body, Dracula is back. But now we run up against the other odd thing about Lee’s role: Dracula speaks not a single word throughout the film. Lee does as much as he can, and is surprisingly effective, but it’s still strange. Dracula isn’t just a monster, he’s a count, cultured and intelligent, which makes him all the more evil. Still, this animalistic version is certainly menacing. The film establishes that running water will kill a vampire, and Dracula meets his newest end falling through some ice after it’s shot by the good guys. The scene is stretched out a little too long, almost becoming Lynchesque slapstick, but the shot of his cape disappearing into the water, followed by his face sinking into the darkness, is well done.

Next up, when I get time to watch it, we move on to the fourth film, 1968’s Dracula Has Risen from the Grave.